### Entries
........
No. 1
{
  "formula": "Dy2Zn2GaRh5",
  "functional": "PBE",
  "state": "relaxed",
  "dos_ef_per_ev_cell": 11.79,
  "e_tot_ha_per_atom": -0.21272,
  "cell": [[-3.381, 0.189, 1.103], [1.536, -7.434, 5.982], [2.621, 6.155, 6.976]],
  "species": ["Dy", "Dy", "Dy", "Dy", "Zn", "Zn", "Zn", "Zn", "Ga", "Ga", "Rh", "Rh", "Rh", "Rh", "Rh", "Rh", "Rh", "Rh", "Rh", "Rh"],
  "frac_coords": [[0.000, 0.673, 0.173], [0.000, 0.327, 0.827], [0.000, 0.173, 0.327], [0.000, 0.827, 0.673], [0.000, 0.127, 0.627], [0.000, 0.873, 0.373], [0.000, 0.627, 0.873], [0.000, 0.373, 0.127], [0.000, 0.000, 0.000], [0.000, 0.500, 0.500], [0.500, 0.198, 0.065], [0.500, 0.802, 0.935], [0.500, 0.065, 0.802], [0.500, 0.698, 0.435], [0.500, 0.935, 0.198], [0.500, 0.302, 0.565], [0.500, 0.565, 0.698], [0.500, 0.435, 0.302], [0.500, 0.500, 0.000], [0.500, 0.000, 0.500]]
}

=====

No. 2
{
  "formula": "EuZnSn4",
  "functional": "PBE",
  "state": "relaxed",
  "dos_ef_per_ev_cell": 11.86,
  "e_tot_ha_per_atom": -0.17322,
  "cell": [[-1.763, 5.892, 0.766], [-2.339, 3.181, -4.777], [-6.020, 1.470, -0.094]],
  "species": ["Eu", "Zn", "Sn", "Sn", "Sn", "Sn"],
  "frac_coords": [[0.250, 0.250, 0.250], [0.000, 0.000, 0.000], [0.626, 0.626, 0.123], [0.626, 0.123, 0.626], [0.626, 0.626, 0.626], [0.123, 0.626, 0.626]]
}

=====

No. 3
{
  "formula": "AcPrI2",
  "functional": "PBE",
  "state": "relaxed",
  "e_above_lowest_polymorph_kj_per_mol_atoms": 12.1,
  "dos_ef_per_ev_cell": 3.73,
  "e_tot_ha_per_atom": -0.13942,
  "formation_energy_uncorrected_mev_per_atom": -797,
  "cell": [[-3.985, 0.640, 0.292], [-1.754, 0.206, 3.641], [-0.086, 11.554, 1.554]],
  "species": ["Pr", "I", "I", "Ac"],
  "frac_coords": [[0.000, 0.000, 0.000], [0.093, 0.093, 0.720], [0.907, 0.907, 0.280], [0.500, 0.500, 0.500]]
}
........

### Activity
Search the lines above for the word "Sn" and quote each line that has it, please.

### Done
  "species": ["Eu", "Zn", "Sn", "Sn", "Sn", "Sn"],